Useful Software Development Terminologies
The list below terms and acronyms that have special meaning in the world of software engineering. The descriptions are mostly worded from my understanding of those term.
YAGNI - You Aren’t Gonna Need It. As a software engineer, we are often think too far ahead of ourselves by over design our the solutions. This often leads to delays in delivery and over complicated solutions that are difficult to understand and maintain. YAGNI is a term we should use to remain ourselves that we should just do enough to solve a particular business problem and only add bits in the form of refactoring as we see fit when we need to satisfy a particular business requirement as it comes up.
KISS - Keep It Simple Stupid: Similar to the term YAGNI. Do not over design things, keep it as simple as possible for the intended purpose.
DDD - Domain Driven Design, a software design concept with the aim to simplify software that has multiple complex domains. The aim is to clearly define and classify a complex system in the form of subdomains and contexts.
TDD - Test Driven Development
BDD - Behaviour Driven Development
CICD - Continuous Integration and Continuous Deployment
**The text is interrupted by calculated crystals:**
┌──
(i)
Sr2FeSnO6 | PBE with a Hubbard U | optimized geometry

abc: 8.060 8.148 9.031
angles: 63.23 90.00 90.01
Element x y z (fractional)
Sr  0.500  0.751  0.500
Sr  0.000  0.500  0.000
Sr  0.500  0.249  0.500
Sr  0.000  0.000  0.000
Sr  0.000  0.751  0.500
Sr  0.500  0.500  0.000
Sr  0.000  0.249  0.500
Sr  0.500  0.000  0.000
Fe  0.250  0.125  0.250
Fe  0.750  0.875  0.750
Fe  0.750  0.375  0.750
Fe  0.250  0.625  0.250
Sn  0.750  0.625  0.250
Sn  0.250  0.375  0.750
Sn  0.750  0.125  0.250
Sn  0.250  0.875  0.750
O  0.750  0.875  0.250
O  0.250  0.625  0.750
O  0.750  0.375  0.250
O  0.250  0.125  0.750
O  0.750  0.632  0.750
O  0.250  0.368  0.250
O  0.750  0.119  0.750
O  0.250  0.881  0.250
O  0.996  0.375  0.750
O  0.495  0.124  0.251
O  0.994  0.875  0.749
O  0.496  0.625  0.250
O  0.004  0.625  0.250
O  0.504  0.375  0.750
O  0.005  0.124  0.251
O  0.506  0.875  0.749
O  0.750  0.498  0.505
O  0.250  0.247  0.005
O  0.750  0.997  0.505
O  0.250  0.748  0.004
O  0.250  0.502  0.495
O  0.750  0.252  0.996
O  0.250  0.003  0.496
O  0.750  0.753  0.994

Summary:
Symmetry: No. 63


(ii)
Sr2FeSnO6 | PBE with a Hubbard U | optimized geometry

abc: 4.028 8.101 8.011
angles: 90.00 90.00 90.00
Element x y z (fractional)
Sr  0.000  0.999  0.984
Sr  0.000  0.501  0.984
Sr  0.000  0.999  0.516
Sr  0.000  0.501  0.516
Fe  0.500  0.750  0.750
Fe  0.500  0.250  0.750
Sn  0.500  0.250  0.250
Sn  0.500  0.750  0.250
O  0.500  0.250  0.991
O  0.500  0.750  0.991
O  0.500  0.250  0.509
O  0.500  0.750  0.509
O  0.500  0.000  0.250
O  0.500  0.500  0.250
O  0.000  0.250  0.250
O  0.000  0.750  0.250
O  0.500  0.993  0.750
O  0.500  0.507  0.750
O  0.000  0.250  0.750
O  0.000  0.750  0.750

Summary:
Symmetry: No. 47


Which one is most stable, and which one is least stable? (ii) is the most stable of them, while (i) is the least stable.


(i)
Sr2FeSnO6 | PBE with a Hubbard U | optimized geometry

abc: 5.690 5.690 4.036
angles: 90.00 90.00 90.00
Element x y z (fractional)
Sr  0.500  0.000  0.000
Sr  0.000  0.500  0.000
Fe  0.000  0.000  0.500
Sn  0.500  0.500  0.500
O  0.245  0.245  0.500
O  0.755  0.755  0.500
O  0.755  0.245  0.500
O  0.245  0.755  0.500
O  0.500  0.500  0.000
O  0.000  0.000  0.000

Summary:
Symmetry: No. 123


(ii)
Sr2FeSnO6 | PBE with a Hubbard U | optimized geometry

abc: 4.033 4.033 7.995
angles: 90.00 90.00 90.00
Element x y z (fractional)
Sr  0.000  0.000  0.735
Sr  0.000  0.000  0.265
Fe  0.500  0.500  0.500
Sn  0.500  0.500  0.000
O  0.500  0.500  0.740
O  0.500  0.500  0.260
O  0.500  0.000  0.000
O  0.500  0.000  0.500
O  0.000  0.500  0.000
O  0.000  0.500  0.500

Summary:
Symmetry: No. 123


Which one is most stable, and which one is least stable? (ii) is the most stable of them, while (i) is the least stable.


(i)
Sr2FeSnO6 | PBE with a Hubbard U | optimized geometry

abc: 4.030 8.978 8.113
angles: 63.11 90.00 90.00
Element x y z (fractional)
Sr  0.000  0.984  0.007
Sr  0.000  0.984  0.509
Sr  0.000  0.516  0.241
└──
Factory Pattern - Creating new objects, but not for persisting (e.g. saving to Database )
Repository Pattern - Fetching existing objects from persistent layer, it can also use Factory to create new objects and then manipulate and persist it. Repository sits between the Application layer(e.g. MVC or Web API) and the persistent layer (e.g Entity framework ) Repository should be context and aggregate root bounded. For example, if you have a form that updates the contact and address detail of an account, your aggregate root would likely to be a account, your repository should load details using the account ID along with the address and contact detail should it be needed. The need for direct persistent to address entity from an client application is not needed. the persistent of address and contact details during an account update should be the responsibility of the account Repository and not the client application directly.
Between two parts of the entry: crystal structures:
=====
## KPH3O3F (GGA-PBE)

Data for a geometry-optimized KPH3O3F structure.

Results
Spin magnetization   0.00 μB per cell
E_form   -1946 meV/atom
DFT total energy   -5.383 eV per atom
Space-group type   No. 14

Cell lengths 10.9456, 6.5370, 7.9277 Å; angles 55.34, 90.00, 90.00 degrees
Last column: nearest neighbours and their distance in Å.
Positions (direct):
H (0.4604, 0.7169, 0.8793)  1 O 1.03
H (0.0525, 0.2850, 0.2729)  1 P 1.41
H (0.5525, 0.7150, 0.2271)  1 P 1.41
O (0.4196, 0.7654, 0.9688)  1 H 1.03
O (0.8438, 0.3844, 0.1815)  1 H 1.34
K (0.6793, 0.0652, 0.5501)  2 F 2.68-2.78, 4 O 2.78-2.83
H (0.5396, 0.2831, 0.1207)  1 O 1.03
H (0.0396, 0.7169, 0.3793)  1 O 1.03
F (0.7271, 0.7508, 0.9512)  1 H 1.05
P (0.5475, 0.4044, 0.7938)  1 H 1.41, 2 O 1.52-1.54
H (0.9475, 0.7150, 0.7271)  1 P 1.41
O (0.0804, 0.7654, 0.4688)  1 H 1.03
H (0.4475, 0.2850, 0.7729)  1 P 1.41
O (0.9196, 0.2346, 0.5312)  1 H 1.03
H (0.2786, 0.4103, 0.4493)  1 F 1.05
P (0.0475, 0.5956, 0.7062)  1 H 1.41, 2 O 1.52-1.54
H (0.2214, 0.4103, 0.9493)  1 F 1.05
K (0.3207, 0.9348, 0.4499)  2 F 2.68-2.78, 4 O 2.78-2.83
O (0.9895, 0.6662, 0.2223)  1 P 1.52, 1 H 1.56
O (0.6562, 0.3844, 0.6815)  1 H 1.34
H (0.9604, 0.2831, 0.6207)  1 O 1.03
O (0.1562, 0.6156, 0.8185)  1 H 1.34
O (0.4895, 0.3338, 0.2777)  1 P 1.52, 1 H 1.56
F (0.2729, 0.2492, 0.0488)  1 H 1.05
K (0.8207, 0.0652, 0.0501)  2 F 2.68-2.78, 4 O 2.78-2.83
F (0.2271, 0.2492, 0.5488)  1 H 1.05
F (0.7729, 0.7508, 0.4512)  1 H 1.05
P (0.9525, 0.4044, 0.2938)  1 H 1.41, 2 O 1.52-1.54
O (0.5804, 0.2346, 0.0312)  1 H 1.03
K (0.1793, 0.9348, 0.9499)  2 F 2.68-2.78, 4 O 2.78-2.83
H (0.7786, 0.5897, 0.0507)  1 F 1.05
O (0.5105, 0.6662, 0.7223)  1 P 1.52, 1 H 1.56
P (0.4525, 0.5956, 0.2062)  1 H 1.41, 2 O 1.52-1.54
O (0.3438, 0.6156, 0.3185)  1 H 1.34
O (0.0105, 0.3338, 0.7777)  1 P 1.52, 1 H 1.56
H (0.7214, 0.5897, 0.5507)  1 F 1.05

=====

Entry 1:
# CaAl4Tl4O12 (PBE, relaxed)
data_CaAl4Tl4O12
_cell_length_a 5.739
_cell_length_b 5.951
_cell_length_c 8.952
_cell_angle_alpha 83.66
_cell_angle_beta 81.63
_cell_angle_gamma 87.27
_space_group_name_H-M_alt 'P 1'
_space_group_IT_number 1
loop_
_space_group_symop_operation_xyz
'x,y,z'
loop_
_atom_site_label
_atom_site_type_symbol
_atom_site_fract_x
_atom_site_fract_y
_atom_site_fract_z
_atom_site_occupancy
Ca1 Ca 0.000 0.000 0.000 1
Al1 Al 0.068 0.585 0.403 1
Al2 Al 0.106 0.510 0.791 1
Al3 Al 0.564 0.338 0.474 1
Al4 Al 0.579 0.295 0.860 1
Tl1 Tl 0.093 0.069 0.619 1
Tl2 Tl 0.386 0.052 0.245 1
Tl3 Tl 0.616 0.779 0.684 1
Tl4 Tl 0.657 0.600 0.145 1
O1 O 0.086 0.428 0.606 1
O2 O 0.125 0.816 0.223 1
O3 O 0.219 0.788 0.798 1
O4 O 0.253 0.295 0.905 1
O5 O 0.354 0.437 0.346 1
O6 O 0.480 0.042 0.491 1
O7 O 0.541 0.424 0.658 1
O8 O 0.634 0.219 0.072 1
O9 O 0.750 0.044 0.805 1
O10 O 0.794 0.521 0.864 1
O11 O 0.837 0.416 0.366 1
O12 O 0.943 0.822 0.511 1
# total energy after the MP2020 corrections	-133.507	eV for the cell shown
# magnetic moment	0.00	μB per cell
=====
ACID Atomic, Consistent, Isolated and Durable. When we persisting application data, such as bank transactions, to the database we need ensure it complies to ACID to guarantee the validity and consistency even in the case of server or network failures. A a complete ACID transaction is to ensure that records are updated in all relevant systems. Any incomplete transactions should be roll back to it’s original state.
Interfaces - If a class is a Robot inherit the Interface, Interface would be the requirement contract. A class that implements the interface is the robot that are designed to fulfil the requirements by adding components and programing logic to make it work to satisfy the agreed specification. and A class can also inherits from multiple Interfaces, which is equivalent to a robot designed to satisfy multiple set of requirement contracts providing that requirements not in conflict.
Abstracts - To best understand what an abstract class is, I will give you a real world analogy; if a class is robot, an abstract class would be the PC board kit that you use as the base of your build. It might have certain features such as range sensors and CPU (Concrete methods) that came with the package. There might also be a certain requirements that you need to satisfy before your Robot can be functional(Abstract methods that has not been implemented). You can also add additional features and components to it as you go. like most robot build kits, you could only use one board as the base, a class can only inherit from one abstract class.
Stay tune for more to come!